A New Year and Obsolete Technology
**Next to the piece, the page also holds records of molecules:**
- - -
1.
Formula: C61H65BF9INO33PS
Source: OMol25
Level of theory: the ωB97M-V functional and the def2-TZVPD basis

Geometry (Å):
C 4.024 -0.652 3.569
C 4.155 -1.531 2.762
C 4.351 -2.719 1.859
C 2.974 -3.138 1.341
C 2.256 -4.067 2.117
C 0.992 -4.578 1.764
P 0.329 -5.817 2.955
C 0.838 -7.448 2.188
O -1.335 -5.725 2.987
C 0.371 -4.123 0.557
C 1.101 -3.177 -0.196
C 2.372 -2.677 0.152
C 3.100 -1.690 -0.751
C 3.573 -0.387 -0.048
C 3.743 0.806 -1.007
C 5.086 0.842 -1.765
C 6.356 0.847 -0.868
C 6.195 1.578 0.504
S 0.349 -2.567 -1.714
C -1.372 -2.573 -1.211
C -2.199 -1.574 -1.716
C -3.546 -1.527 -1.335
O -4.425 -0.569 -1.816
C -3.936 0.716 -1.601
O -3.248 1.214 -2.448
C -4.273 1.478 -0.362
C -3.582 2.683 -0.131
C -3.840 3.472 0.999
C -4.784 3.041 1.951
C -5.472 1.838 1.718
C -5.245 1.062 0.574
C -4.020 -2.495 -0.436
C -5.476 -2.438 0.003
O -5.564 -2.028 1.370
C -6.910 -2.079 1.789
C -3.179 -3.525 0.071
B -3.921 -4.547 1.059
C -3.936 -4.453 2.634
O -4.662 -5.565 0.469
C -1.808 -3.601 -0.322
N -0.925 -4.656 0.151
C -0.655 -5.553 -1.032
C -0.965 -7.055 -0.871
O -0.445 -7.808 -1.627
I -2.297 -7.903 0.586
H 3.975 -0.038 4.443
H 5.079 -2.512 1.073
H 4.702 -3.533 2.504
H 2.706 -4.413 3.049
H 0.802 -7.350 1.095
H 1.883 -7.602 2.465
H 0.179 -8.253 2.523
H -1.590 -5.585 3.901
H 2.530 -1.401 -1.641
H 4.004 -2.201 -1.127
H 2.901 -0.121 0.776
H 4.553 -0.584 0.400
H 2.935 0.827 -1.759
H 3.641 1.738 -0.438
H 5.104 1.794 -2.326
H 5.195 0.050 -2.519
H 6.744 -0.168 -0.693
H 7.165 1.366 -1.404
H 6.029 0.829 1.286
H 7.145 2.091 0.727
H 5.431 2.360 0.486
H -1.815 -0.828 -2.407
H -2.836 3.014 -0.850
H -3.293 4.404 1.110
H -4.960 3.643 2.839
H -6.217 1.534 2.452
H -5.814 0.151 0.412
H -6.047 -1.704 -0.588
H -5.983 -3.409 -0.111
H -6.972 -1.952 2.876
H -7.499 -1.296 1.277
H -7.386 -3.046 1.553
H -3.173 -3.798 3.062
H -4.915 -4.036 2.933
H -3.901 -5.469 3.049
H -4.231 -5.763 -0.370
H -1.158 -5.150 -1.922
H 0.417 -5.511 -1.270
O 2.868 4.034 0.399
C 2.309 4.143 -0.639
O 1.138 3.534 -0.946
C 0.724 4.022 -2.225
C 2.029 4.479 -2.823
F 1.852 5.543 -3.646
O 2.767 4.896 -1.684
H 0.021 4.847 -2.091
H 0.243 3.238 -2.806
H 2.583 3.699 -3.350
O -3.995 2.702 -8.850
C -3.826 2.517 -7.694
O -4.163 1.377 -7.037
C -3.675 1.493 -5.695
C -3.577 2.984 -5.528
F -2.557 3.329 -4.702
O -3.272 3.429 -6.837
H -2.704 1.003 -5.618
H -4.358 1.033 -4.986
H -4.499 3.459 -5.186
O -6.878 7.936 -2.536
C -6.538 7.409 -3.538
O -5.373 7.671 -4.190
C -5.271 6.739 -5.267
C -6.707 6.355 -5.497
F -6.816 5.070 -5.925
O -7.264 6.457 -4.199
H -4.659 5.890 -4.955
H -4.814 7.199 -6.140
H -7.249 7.012 -6.180
O 3.158 -9.437 1.494
C 2.692 -10.463 1.863
O 3.212 -11.686 1.583
C 2.451 -12.654 2.311
C 1.149 -11.932 2.526
F 0.570 -12.291 3.698
O 1.558 -10.575 2.615
H 2.956 -12.884 3.251
H 2.333 -13.572 1.739
H 0.430 -12.044 1.713
O 2.087 11.049 0.025
C 1.708 9.930 0.117
O 1.905 9.137 1.195
C 1.185 7.917 0.971
C 1.080 7.892 -0.530
F -0.071 7.291 -0.937
O 1.019 9.271 -0.865
H 0.214 7.976 1.449
H 1.723 7.063 1.370
H 1.931 7.431 -1.036
- - -
**Here the piece continues:**

Here in our Re-feathered Nest my husband and I have been trying to be more environmentally conscious. Maybe it’s because we know the world we are a part of will be the world our someday grand child will live in and we want to to do our best to be good caretakers.
Since we also work in the recycling industry we tend to be a little more aware of different aspects of the “reuse and repurpose” life cycle of thing. Something we know well is the electronics recycling world. We work at a place where electronics are manually disassembled in order to better sort out the parts to divide into a possible of 70+ scrap categories.
So, I take my soapbox stand for a few minutes to talk to you about your electronics recycling. This is the beginning of a new year and we have just come through the Christmas season with the exchanging of gifts. Some of those gifts may have been household electronic items.
[These calculated molecules were left in the piece by mistake]
- - -
No. 1
C46H34NO3P2Pt | ωB97M-V/def2-TZVPD

Summary:
E_HOMO, eV: -16.606
2S+1: 1
Orbital gap, Eh: 0.23027
Total charge: +3

Last column: Löwdin charge in e.
CARTESIAN COORDINATES (ANGSTROEM)
H 0.59 3.82 -4.30  0.13
C -2.88 0.38 2.48  -0.10
H 3.00 -5.10 2.72  0.13
H -5.35 2.58 3.18  0.13
C -1.17 -3.27 0.21  -0.27
C -0.03 5.47 0.67  0.07
C -2.41 -5.01 1.23  0.00
H 2.62 -3.76 0.71  0.11
H 2.51 -4.16 4.96  0.13
H 0.19 7.03 -1.51  0.14
H -3.68 1.16 4.31  0.13
C 4.37 1.89 1.08  -0.01
H 2.10 -5.06 -3.62  0.13
H -4.01 1.21 -0.64  0.11
C 1.84 -2.27 4.19  -0.03
C -1.75 1.09 -3.51  -0.04
H -0.18 4.80 2.72  0.14
C 2.04 -4.24 -2.91  0.00
N 0.05 2.75 0.08  0.02
C 0.44 4.15 -3.28  -0.03
C -2.10 -2.32 0.67  -0.24
C -3.35 -4.09 1.68  -0.02
C 0.22 5.98 -1.73  0.01
H 2.32 0.59 -1.93  0.11
H 3.68 2.64 -2.16  0.13
C 3.07 -2.31 -1.89  -0.03
C 0.38 5.54 -3.01  -0.02
H 0.06 -4.79 -2.24  0.13
H -2.17 -2.12 -4.52  0.13
P -1.86 -0.63 0.16  1.08
C 2.82 0.31 0.16  -0.38
H 3.56 0.25 2.19  0.12
H -1.67 2.09 -3.91  0.12
C 2.61 -4.09 2.81  -0.03
H -4.21 -4.44 2.25  0.13
C 0.16 3.66 -0.94  -0.19
C 3.11 -3.36 -2.80  -0.02
C 3.58 0.77 1.24  -0.04
C -3.20 -2.74 1.42  -0.02
O -0.16 -2.65 -0.44  -0.13
C 0.89 -4.11 -2.14  0.03
C -0.10 4.54 1.68  0.06
C -4.68 1.98 2.59  -0.01
C -4.77 1.99 1.20  -0.03
H 3.91 -1.64 -1.79  0.13
C -2.03 -1.29 -3.84  -0.01
C 1.62 -1.50 3.06  -0.07
H -2.15 -0.24 2.98  0.12
H -2.53 -6.06 1.46  0.13
C 1.93 -2.17 -1.11  -0.27
H -2.18 -2.49 -2.09  0.12
H -0.07 6.53 0.90  0.15
C 4.39 2.57 -0.14  -0.01
H 1.24 -0.49 3.17  0.09
C 0.86 -3.06 -1.24  -0.28
C -2.96 0.41 1.08  -0.36
H -5.51 2.60 0.71  0.13
C -3.91 1.22 0.44  -0.06
H -1.73 1.76 -1.48  0.08
C -0.06 2.17 2.42  -0.51
O 0.08 0.88 2.02  -0.24
C 1.88 -2.03 1.80  -0.32
H 4.98 2.24 1.90  0.13
C 2.85 0.99 -1.07  -0.13
C 2.38 -3.34 1.68  -0.05
C 3.63 2.12 -1.21  -0.04
C 0.11 5.05 -0.66  -0.12
H -1.90 0.16 -5.43  0.13
C -1.30 -4.61 0.49  0.04
Pt 0.11 0.58 0.09  1.11
H -3.93 -2.03 1.77  0.12
O -0.17 2.41 3.58  0.19
H -0.56 -5.33 0.15  0.13
C 0.33 3.23 -2.28  -0.06
H 1.64 -1.85 5.17  0.13
C -0.05 3.19 1.33  -0.17
H 3.99 -3.50 -3.41  0.13
H 5.02 3.44 -0.26  0.13
C -1.76 0.90 -2.13  -0.13
H 0.47 6.24 -3.83  0.13
C -2.03 -1.50 -2.48  -0.04
C -1.90 -0.40 -1.61  -0.33
C 2.33 -3.56 4.07  -0.02
P 1.73 -1.09 0.30  1.07
C -3.74 1.17 3.23  -0.03
H 0.39 2.17 -2.50  0.08
C -1.89 0.00 -4.36  0.00



No. 2
H10O5 | ωB97M-V/def2-TZVPD

Summary:
E_HOMO, eV: -11.253
2S+1: 1
SMILES string: O.O.O.O.O
Orbital gap, Eh: 0.42312
Total charge: 0

Last column: Löwdin charge in e.
CARTESIAN COORDINATES (ANGSTROEM)
O -1.88 -1.14 -0.82  -0.06
H 0.68 -1.23 -0.15  0.05
O 3.26 -0.61 -2.99  -0.03
H -1.35 -0.42 -1.15  0.02
O 0.87 -0.29 -0.13  -0.01
H -1.62 -0.59 2.53  0.08
H -0.42 -1.06 1.82  0.00
H -1.76 2.51 2.17  0.03
H -1.21 3.31 0.97  0.08
H 1.50 -0.01 -0.73  -0.01
O -0.95 2.56 1.62  -0.11
H 2.72 -1.08 -3.64  0.05
H -2.06 -0.88 0.10  0.03
O -0.60 -0.45 2.56  -0.09
H 2.82 -0.61 -2.17  -0.03
- - -
[So much for the calculated molecules]
According to an article in APICS magazine (membership required to read the article), the author Marco Ugarte write about how many of our consumer goods have made an effort to make more sustainable products, also known as “green”.
For instance, the common household personal computer are now designed to meet Energy Star standards. This means they are more energy efficient and also reduce their greenhouse gas (GHG) emissions, and yet remain cost-efficient (good news for the consumers).
# Between two parts of the article: quantum chemistry results
~~~
No. 1
Here is 2 unconnected molecules or ions with the total composition C16H13F3NO3S at a distorted geometry from the Open Molecules 2025 dataset. Energies are from ωB97M-V/def2-TZVPD.

Computed properties:
Charge: -1
Kohn-Sham gap in eV: 5.01
Electronic energy in eV: -43421.729
HOMO energy in eV: -2.996
LUMO in eV: 2.012
Relative energy (zero: lowest compared OMol25 entry of this formula, charge and spin) in eV: 0.0000

XYZ file:
```
37
Properties=species:S:1:pos:R:3:mulliken_charge:R:1
C -4.610 -1.107 1.597 -0.815
O -4.048 0.183 1.562 -0.458
C -2.652 0.234 1.581 0.800
C -2.052 1.498 1.588 -0.536
C -0.687 1.641 1.614 -0.488
C 0.155 0.527 1.634 1.054
C 1.601 0.691 1.636 -0.164
C 2.478 -0.314 1.615 -0.844
N 3.903 -0.089 1.523 0.995
O 4.623 -1.033 1.165 -0.616
O 4.353 1.028 1.809 -0.534
C -0.445 -0.735 1.622 -0.925
C -1.811 -0.883 1.596 -0.515
H -5.695 -1.003 1.605 0.232
H -4.314 -1.668 0.710 0.327
H -4.298 -1.626 2.503 0.341
H -2.698 2.358 1.577 0.412
H -0.254 2.625 1.618 0.380
H 1.988 1.695 1.623 0.333
H 2.153 -1.334 1.629 0.387
H 0.179 -1.609 1.634 0.226
H -2.241 -1.869 1.591 0.367
F 5.738 5.887 6.087 -0.274
C 4.570 5.938 5.420 0.900
F 3.701 6.737 6.067 -0.275
F 4.770 6.392 4.169 -0.256
C 3.987 4.539 5.343 0.253
C 2.612 4.364 5.297 -0.521
C 2.078 3.098 5.251 -0.678
C 2.914 1.975 5.249 0.030
S 2.270 0.444 5.234 -0.493
C 4.301 2.167 5.265 -0.563
C 4.828 3.436 5.312 -0.578
H 1.980 5.239 5.308 0.349
H 1.012 2.953 5.221 0.413
H 4.945 1.305 5.238 0.389
H 5.895 3.600 5.333 0.343
```


No. 2
Here is C16H13FN2O2S in the gas phase at a distorted geometry from the Open Molecules 2025 dataset. Energies are from ωB97M-V/def2-TZVPD.

Computed properties:
Charge: 0
Kohn-Sham gap in eV: 8.78
SMILES string: Cc1ccc(C(=O)Nc2ncc(Cc3ccc(F)cc3)s2)o1
Electronic energy in eV: -37430.959
HOMO energy in eV: -8.427
LUMO in eV: 0.350
Relative energy (zero: lowest compared OMol25 entry of this formula, charge and spin) in eV: 0.7732

XYZ file:
```
35
Properties=species:S:1:pos:R:3:mulliken_charge:R:1
C -0.229 -2.509 -0.741 -0.781
C 1.154 -2.311 -0.239 0.514
C 1.983 -3.121 0.490 -0.683
C 3.183 -2.407 0.667 -0.621
C 3.004 -1.194 0.047 0.513
C 3.962 -0.107 -0.120 0.214
O 5.160 -0.270 -0.009 -0.640
N 3.473 1.138 -0.468 -0.065
C 2.226 1.687 -0.346 0.408
N 1.858 2.715 -1.028 -0.648
C 0.621 3.140 -0.676 -0.787
C 0.013 2.450 0.323 0.802
S 1.059 1.168 0.866 -0.021
C -1.360 2.613 0.884 -1.477
C -2.185 1.404 0.521 0.394
C -2.729 1.291 -0.753 -0.356
C -3.441 0.165 -1.122 -0.576
C -3.597 -0.853 -0.199 0.410
C -3.062 -0.772 1.074 -0.662
C -2.353 0.364 1.425 -0.072
H -1.924 0.438 2.413 0.355
H -3.201 -1.585 1.768 0.421
F -4.285 -1.960 -0.551 -0.358
H -3.870 0.067 -2.107 0.445
H -2.592 2.092 -1.464 0.388
H -1.310 2.716 1.970 0.372
H -1.803 3.518 0.464 0.433
H 0.202 3.982 -1.196 0.453
H 4.182 1.780 -0.806 0.287
O 1.767 -1.148 -0.511 -0.275
H 4.067 -2.721 1.184 0.526
H 1.761 -4.105 0.848 0.494
H -0.244 -2.488 -1.830 0.305
H -0.614 -3.465 -0.398 0.352
H -0.875 -1.709 -0.382 -0.067
```
~~~
“In 2011, Energy Star-qualified products prevented 210 million metric tons of GHG emissions (equivalent to the annual emissions of 41 million vehicles) while reducing utility bills by $23 billion,” Ugarte writes.
The good thing is that if you are making a decision to purchase an Energy Star standard piece of equipment you are doing your part to help make the world a better place. But, if you have a piece of household electronics equipment that is now obsolete and you don’t want it in your house any longer, you must take the next step of stewardship and dispose of it properly.
You have a few choices. If it still works, you may can give it away to someone else you know who would like it. If it still works, you may can sell it if it’s not a dinosaur piece of equipment that no one wants. You may opt to give it away to charity. Please, let me give you a suggestion. If you have a computer or laptop that won’t run the newest software that you want, then the person in the charity isn’t going to be able to run the piece of software either. It amazes me the folks that think charity organizations want equipment that only runs on Windows 95.
So, what can you do with your obsolete consumer electronics? Find a local business or organization that will let you bring it to them for recycling. Be careful though. If you are recycling anything that has information on the hard drive, you want to make sure that you are delivering your equipment to some place that will destroy the hard drives or wipe them clean of information. Ask questions. Do research. Oh, and as for those huge CRT monitors that were as big a microwave oven? If some place says they will take it for free, be very cautious. Most likely, they are delivering that to China which is illegal. Don’t be surprised if a reputable electronics recyclers ask you to pay for CRT recycling. It does actually cost money to properly disassemble the equipment which has hardly any value in it’s plastics or recycled CRT glass.
A good jumping off point to find information on recycling your computers or laptop is at the EPA website.
As you think about refeathering your empty nest, consider thinking about if you really NEED the newest and greatest gadget. If you do, remember to plan on what you will do with your old equipment. Tree Huggers will thank you =)